How Every Autistic Person is Different - My Perspective
Autism is a very common condition to have. Organisations such as Autism Speaks estimate that tens of millions of people worldwide are (known to be) affected by autism, and the number increases steadily with every passing year. Nowadays it seems that the vast majority of the human population either have autism themselves, have a friend or family member with autism, are a carer or teacher of someone with autism, or at the very least come across people with autism in their daily lives.
Yet we must always bear in mind that one autistic person may be nothing at all like another. Say for instance we can’t ever attain a clear picture of someone when we make comparisons between each other’s behaviours and interests. The truth is that despite us sharing key characteristics of autism, our personalities are each our own, and an ASD diagnosis doesn’t weaken our individuality. For example as people we may be introverted, extraverted, optimistic, pessimistic, egotistical, humble, kind, mean, and the list goes on. So before we get to know anyone with autism we mustn't ever make the assumption that they are like someone else we know (which may even include ourself).
However having said all that, it is indeed true that in order to get an autism diagnosis we do have to fit certain criteria. But even so those key traits are on an extremely vast spectrum, and some of them will show in an individual, while others may not even be present at all.
********
{
  "formula": "C3H4NO2",
  "method": "ωB97M-V/def2-TZVPD",
  "spin_multiplicity": 1,
  "lumo_ev": [-8.863, -7.973],
  "total_charge": 1,
  "species": ["O", "O", "N", "C", "C", "C", "H", "H", "H", "H"],
  "xyz": [[-2.4336, -1.7517, 0.0277], [-3.2878, 1.4644, 0.0367], [-1.7060, -0.8244, 0.0265], [-0.2468, -0.6925, 0.0897], [-0.4178, 0.8378, -0.0714], [-1.8316, 0.5319, -0.0583], [0.1555, -1.0259, 1.0543], [-0.0506, 1.2841, -1.0037], [0.2751, -1.2356, -0.7062], [-0.0705, 1.4946, 0.7348]],
  "forces_ev_per_angstrom": [[-1.3, -1.3, 0.1], [5.4, -3.7, -0.4], [0.5, 1.3, -0.1], [2.1, -0.5, 0.2], [0.6, 0.4, 0.0], [-6.4, 4.0, 0.4], [-0.3, 0.1, -0.1], [-0.1, -0.2, 0.0], [-0.3, 0.2, 0.0], [-0.1, -0.2, 0.1]],
  "nbo_charge": [-0.030, -0.096, 0.149, -0.261, -0.537, 0.585, 0.281, 0.315, 0.280, 0.314]
}

=====

{
  "formula": "C5H9N",
  "method": "ωB97M-V/def2-TZVPD",
  "spin_multiplicity": 1,
  "lumo_ev": 1.066,
  "smiles": "C=CC(=C)NC",
  "species": ["N", "C", "C", "C", "C", "C", "H", "H", "H", "H", "H", "H", "H", "H", "H"],
  "xyz": [[0.7241, -0.2763, 0.8793], [-0.9207, -1.3164, -1.9211], [-0.8974, -1.2320, -0.5889], [1.5183, 0.8267, 1.3490], [-1.0373, 1.1621, 0.0412], [-0.4183, -0.0171, 0.1282], [-0.7634, -2.1423, -0.0221], [-0.8581, -0.4118, -2.5066], [-1.8367, 1.3292, -0.6609], [-0.7586, 1.9795, 0.6934], [1.2547, -1.0352, 0.4807], [2.4483, 0.4382, 1.7577], [1.0140, 1.3724, 2.1478], [-1.2335, -2.2541, -2.3651], [1.7645, 1.5772, 0.5874]],
  "forces_ev_per_angstrom": [[-0.3, 0.0, 0.0], [-1.2, 0.0, 0.8], [2.0, 0.3, -0.7], [0.3, 0.3, 0.3], [0.2, 0.3, 0.3], [-0.3, -0.3, -0.3], [-0.7, -0.2, 0.3], [0.1, 0.0, -0.3], [-0.3, -0.2, 0.2], [0.2, 0.2, -0.3], [0.1, 0.0, 0.1], [0.0, 0.0, 0.0], [-0.1, -0.1, 0.1], [0.3, 0.1, -0.3], [-0.1, -0.2, -0.2]],
  "nbo_charge": [-0.602, -0.368, -0.217, -0.412, -0.529, 0.152, 0.203, 0.200, 0.211, 0.199, 0.378, 0.206, 0.196, 0.200, 0.182]
}

=====

{
  "formula": "C41H114NO33",
  "method": "ωB97M-V/def2-TZVPD",
  "spin_multiplicity": 1,
  "lumo_ev": 1.807,
  "total_charge": -1,
  "species": ["O", "O", "O", "O", "O", "O", "O", "O", "O", "O", "O", "O", "O", "O", "O", "O", "O", "O", "O", "O", "O", "O", "O", "O", "O", "O", "O", "O", "O", "O", "O", "O", "O", "N", "C", "C", "C", "C", "C", "C", "C", "C", "C", "C", "C", "C", "C", "C", "C", "C", "C", "C", "C", "C", "C", "C", "C", "C", "C", "C", "C", "C", "C", "C", "C", "C", "C", "C", "C", "C", "C", "C", "C", "C", "C", "H", "H", "H", "H", "H", "H", "H", "H", "H", "H", "H", "H", "H", "H", "H", "H", "H", "H", "H", "H", "H", "H", "H", "H", "H", "H", "H", "H", "H", "H", "H", "H", "H", "H", "H", "H", "H", "H", "H", "H", "H", "H", "H", "H", "H", "H", "H", "H", "H", "H", "H", "H", "H", "H", "H", "H", "H", "H", "H", "H", "H", "H", "H", "H", "H", "H", "H", "H", "H", "H", "H", "H", "H", "H", "H", "H", "H", "H", "H", "H", "H", "H", "H", "H", "H", "H", "H", "H", "H", "H", "H", "H", "H", "H", "H", "H", "H", "H", "H", "H", "H", "H", "H", "H", "H", "H", "H", "H", "H", "H", "H", "H", "H", "H"],
********
There isn’t enough space in this blog to mention every ASD trait in detail. Yet it is possible for me to give a very brief overview of them all. Autism is a developmental condition that a person is born with and has for the rest of their lifetime. The areas that can be affected by autism include our understanding and interpretation of emotions, understanding of body language, hypothetical reasoning, sensory processing, ability to cope with sudden change, cognitive awareness, ability to socialize, coping with overstimulation, as well as our dexterity and motor skills.
We may or may not have skills that are recognised as savant abilities. Yet we will always have a particular area where our abilities are stronger than they are elsewhere. Studies have found that these special interest areas tend to most commonly be in the fields of memory, writing, visuospatial skills and drawing. It’s very important for parents, educators, therapists and autistic people ourselves to discover our individual strengths as soon as possible. This is because there will be enormous potential for us to make a career from them, as that’ll be where all of our self-motivation comes from.

As autism is such a widely diagnosed condition on such a vast spectrum, researchers want to study cases of as many different individuals with autism as possible. That’s the only way in which science can at least come close to solving the autism puzzle. Autism is not a disease and does not need to be eradicated. The medical community only needs to know enough about autism to enable society to better understand and accommodate us all.